Data.
~~~
[1]
Entry from OMol25: a 2-piece molecular cluster, H2N2O4S overall in a non-equilibrium geometry (ωB97M-V/def2-TZVPD).

Computed properties:
Lowest unoccupied orbital energy (alpha / beta) ... 6.63 / 6.63 eV
Energy ... -809.7504 a.u.
Energy relative to the best compared isomer or geometry (same formula, charge and spin) ... 42.5 kJ/mol
2S+1 ... 1
Charge ... -2
HOMO (alpha / beta) ... 0.0734 / 0.0732 Ha

Each line ends with the natural charge from an NBO analysis.
Atoms and positions in Å:
1 N -2.89 -0.08 0.10  -0.3718
2 N 0.04 0.62 -0.21  -1.1271
3 O -3.77 -0.95 -0.25  -0.5901
4 O 2.49 0.84 -0.09  -1.0921
5 O 1.49 -0.88 1.34  -1.0388
6 O 1.59 -1.05 -1.18  -1.0382
7 S 1.51 -0.26 0.01  2.4835
8 H 0.40 1.46 0.20  0.3548
9 H -0.87 0.29 0.08  0.4198

---

[2]
Entry from OMol25: an isolated ion of composition C3H5FO3P and charge -1 in a non-equilibrium geometry (ωB97M-V/def2-TZVPD).

Computed properties:
Lowest unoccupied orbital energy (alpha / beta) ... 3.61 / 3.79 eV
Energy ... -784.2548 a.u.
Energy relative to the best compared isomer or geometry (same formula, charge and spin) ... 472.2 kJ/mol
2S+1 ... 1
Charge ... -1
HOMO (alpha / beta) ... -0.0929 / -0.1917 Ha

Each line ends with the natural charge from an NBO analysis.
Atoms and positions in Å:
1 C -0.30 -0.42 0.51  -0.5292
2 C 0.87 0.48 0.07  -0.0649
3 C -0.26 -1.52 -0.59  0.2306
4 O 4.36 -0.77 0.81  -1.1347
5 O 3.38 0.55 -1.30  -1.1501
6 O 2.01 0.17 0.89  -0.8174
7 F -0.83 -2.67 -0.10  -0.3910
8 P 3.27 -0.36 -0.15  1.9409
9 H 0.03 -0.79 1.38  0.2379
10 H -1.14 0.25 0.52  0.1948
11 H 1.05 0.36 -0.95  0.1923
12 H 0.54 1.49 0.25  0.1502
13 H -0.59 -1.51 -1.69  0.1408

---

[3]
Entry from OMol25: one molecule with the formula C3H6 in a non-equilibrium geometry (ωB97M-V/def2-TZVPD).

Computed properties:
Lowest unoccupied orbital energy ... 1.29 eV
Energy ... -117.8415 a.u.
Energy relative to the best compared isomer or geometry (same formula, charge and spin) ... 80.0 kJ/mol
2S+1 ... 1
Structure (SMILES) ... C=CC
Charge ... 0
HOMO ... -0.3557 Ha

Each line ends with the natural charge from an NBO analysis.
Atoms and positions in Å:
1 C -1.21 -0.17 0.06  -0.6668
2 C 0.21 0.49 0.06  -0.1738
3 C 1.39 -0.15 0.12  -0.4187
4 H -1.01 -0.87 -0.77  0.2281
5 H -1.64 -0.52 1.00  0.2312
6 H -1.96 0.62 -0.29  0.2101
7 H 0.21 1.58 -0.05  0.1976
8 H 1.66 -1.32 -0.12  0.1951
9 H 2.34 0.36 -0.01  0.1973

---

[4]
Entry from OMol25: an isolated ion of composition C6H6NO2P2 and charge -1 in a non-equilibrium geometry (ωB97M-V/def2-TZVPD).

Computed properties:
Lowest unoccupied orbital energy ... 3.53 eV
Energy ... -1120.2051 a.u.
Energy relative to the best compared isomer or geometry (same formula, charge and spin) ... 0.0 kJ/mol
2S+1 ... 1
Charge ... -1
HOMO ... -0.1311 Ha

Each line ends with the natural charge from an NBO analysis.
Atoms and positions in Å:
1 C 0.06 -1.63 0.12  -0.1675
2 C -0.02 -2.02 1.45  -0.3526
3 C 0.13 -0.36 -0.42  -0.1649
4 C 0.06 -1.05 2.51  0.1439
5 C 0.21 0.69 0.50  -0.7836
6 C 0.23 -0.13 -1.91  -0.6302
7 N -1.23 3.06 -0.66  -1.2147
8 O -0.15 -1.24 3.72  -0.7116
9 O 1.33 3.00 -1.01  -1.0444
10 P 0.12 2.35 -0.45  2.0389
11 P 0.15 0.69 2.14  0.5190
12 H -0.05 -2.41 -0.60  0.1783
13 H -0.03 -3.05 1.56  0.1967
14 H 1.42 -0.11 -2.25  0.1997
15 H -0.26 0.76 -2.32  0.2154
16 H -0.12 -1.08 -2.31  0.2157
17 H -1.86 2.55 -0.08  0.3621

---

[5]
Entry from OMol25: a 5-piece molecular cluster, C20H25F15O10 overall in a non-equilibrium geometry (ωB97M-V/def2-TZVPD).

Computed properties:
Lowest unoccupied orbital energy ... -0.09 eV
Energy ... -3027.2861 a.u.
Energy relative to the best compared isomer or geometry (same formula, charge and spin) ... 786.6 kJ/mol
2S+1 ... 1
Structure (SMILES) ... CCOC(=O)C(F)(F)F.CCOC(=O)C(F)(F)F.CCOC(=O)C(F)(F)F.CCOC(=O)C(F)(F)F.CCOC(=O)C(F)(F)F
Charge ... 0
HOMO ... -0.4211 Ha

Each line ends with the natural charge from an NBO analysis.
Atoms and positions in Å:
1 C -1.37 -1.13 -3.20  -0.6231
2 C -0.52 -0.70 -4.31  -0.0839
~~~
Work order.
Next, filter the notes above: keep the lines with the word "best".
Completed.
Energy relative to the best compared isomer or geometry (same formula, charge and spin) ... 42.5 kJ/mol
Energy relative to the best compared isomer or geometry (same formula, charge and spin) ... 472.2 kJ/mol
Energy relative to the best compared isomer or geometry (same formula, charge and spin) ... 80.0 kJ/mol
Energy relative to the best compared isomer or geometry (same formula, charge and spin) ... 0.0 kJ/mol
Energy relative to the best compared isomer or geometry (same formula, charge and spin) ... 786.6 kJ/mol